<<<
Structure and theoretical powder diffractogram of Na2Nb2W2O13 (a structure optimized by DFT (PBE+U); copper Kα).
Lines closer than 0.1° are merged.

Main lines, in order of rising 2θ (2θ = 10–80°):
14.5 deg, I = 100, (0 0 1); 14.6 deg, I = 41, (1 1 0); 17.3 deg, I = 11, (2 0 0); 27.6 deg, I = 15, (3 1 -2); 27.9 deg, I = 35, (0 2 1); 28.6 deg, I = 18, (2 0 1); 29.1 deg, I = 47, (4 0 -2); 29.5 deg, I = 51, (2 2 0); 33.5 deg, I = 20, (2 2 -2); 49.2 deg, I = 26, (6 2 -2); 50.9 deg, I = 9, (0 2 3); 57.0 deg, I = 13, (6 2 -4)

a b c (Å): 12.7830 7.4849 7.6419
angles (deg): 90.00 126.62 90.00
Space group Cm (No. 8)
Unique sites:
Na: 0.0000 0.2358 0.0000 [4 per cell]
Nb: 0.2116 0.5000 0.9505 [2 per cell]
Nb: 0.2333 0.5000 0.4778 [2 per cell]
W: 0.4700 0.2525 0.4319 [4 per cell]
O: 0.0290 0.0000 0.4905 [2 per cell]
O: 0.0922 0.3156 0.7328 [4 per cell]
O: 0.0940 0.3153 0.3778 [4 per cell]
O: 0.1429 0.5000 0.1072 [2 per cell]
O: 0.1816 0.0000 0.1517 [2 per cell]
O: 0.3063 0.5000 0.7726 [2 per cell]
O: 0.3479 0.3145 0.4903 [4 per cell]
O: 0.3489 0.3140 0.1282 [4 per cell]
O: 0.4033 0.0000 0.3649 [2 per cell]

----------

1.
Calculated powder X-ray diffraction pattern
Compound: SiSb2
Radiation: Cu Kα (λ = 1.5418 Å)
Structure: the PBE geometry in Alexandria
No peak broadening, texture or thermal motion is included.

Cell: 6.552 6.552 6.441 Å, 90.07 90.07 35.30°
Sites, in units of the cell vectors:
Si 0.000 0.000 0.186
Si 0.000 0.000 0.814
Sb 0.352 0.352 0.727
Sb 0.353 0.353 0.273
Sb 0.647 0.647 0.727
Sb 0.648 0.648 0.273

Main lines, low angle first (2θ = 10–80°):
- 23.50 deg, rel. 416
- 27.70 deg, rel. 661
- 28.59 deg, rel. 292
- 31.12 deg, rel. 1000
- 36.63 deg, rel. 280
- 40.23 deg, rel. 234
- 42.14 deg, rel. 761
- 54.25 deg, rel. 197

2.
Calculated powder X-ray diffraction pattern
Compound: Cs3Hg2Bi4Pb2
Radiation: Cu Kα (λ = 1.5418 Å)
Structure: the PBE geometry in Alexandria
No peak broadening, texture or thermal motion is included.

Cell: 5.246 5.246 21.026 Å, 90.00 90.00 120.00°
Sites, in units of the cell vectors:
Cs 0.000 0.000 0.000
Cs 0.000 0.000 0.274
Cs 0.000 0.000 0.726
Hg 0.333 0.667 0.137
Hg 0.667 0.333 0.863
Bi 0.333 0.667 0.402
Bi 0.333 0.667 0.859
Bi 0.667 0.333 0.141
Bi 0.667 0.333 0.598
Pb 0.333 0.667 0.553
Pb 0.667 0.333 0.447

Main lines, low angle first (2θ = 10–80°):
- 12.63 deg, rel. 256
- 23.33 deg, rel. 529
- 25.92 deg, rel. 703
- 29.74 deg, rel. 293
- 34.18 deg, rel. 1000
- 35.84 deg, rel. 205
- 45.94 deg, rel. 542
- 56.35 deg, rel. 210

- Which formula does entry 2 have?
  Cs3Hg2Bi4Pb2

----------

For SmCuNi5, a PBE-relaxed structure gives the computed PXRD pattern in this record (Cu Kα (λ = 1.5418 Å)).
Intensities are scaled so that the largest is 100.

Largest 6 diffraction maxima, in order of falling intensity, 2θ = 15–90°:
2θ 40.1, d = 2.248 Å, I = 100, (3 1 1); 2θ 47.1, d = 1.929 Å, I = 44, (4 0 1); 2θ 37.9, d = 2.372 Å, I = 33, (1 0 4); 2θ 47.8, d = 1.903 Å, I = 21, (1 2 3); 2θ 68.7, d = 1.366 Å, I = 21, (3 3 1); 2θ 37.0, d = 2.432 Å, I = 20, (0 2 0)

```
data_SmCuNi5
_chemical_formula_sum 'Sm4 Cu4 Ni20'
_cell_length_a 7.8624
_cell_length_b 4.8634
_cell_length_c 9.9500
_cell_angle_alpha 90.00
_cell_angle_beta 90.00
_cell_angle_gamma 90.00
_symmetry_space_group_name_H-M 'P n m a'
_symmetry_Int_Tables_number 62
loop_
_symmetry_equiv_pos_as_xyz
'x,y,z'
'-x,-y,-z'
'-x+1/2,-y,z+1/2'
'x+1/2,y,-z+1/2'
'x+1/2,-y+1/2,-z+1/2'
'-x+1/2,y+1/2,z+1/2'
'-x,y+1/2,-z'
'x,-y+1/2,z'
loop_
_atom_site_label
_atom_site_type_symbol
_atom_site_fract_x
_atom_site_fract_y
_atom_site_fract_z
Sm1 Sm 0.2402 0.2500 0.0599
Cu1 Cu 0.1435 0.7500 0.8554
Ni1 Ni 0.0599 0.7500 0.0994
Ni2 Ni 0.0671 0.0044 0.3104
Ni3 Ni 0.1010 0.2500 0.5185
Ni4 Ni 0.1835 0.2500 0.7539
```
>>>
Say how many lines of the entries further above hold the word "first", as a bare number.
2